School “Fe y Alegría – Caruto” in Caicara del Orinoco (Venezuela)

The article is interrupted by data records
/*
# 1
# V2O3
Theoretical XRD peak list, Cu Kα X-rays. Input: a crystal structure in Alexandria, relaxed with GGA+U.
Intensities are scaled so that the largest is 100.

Structural model:
```
data_V2O3
_chemical_formula_sum 'V8 O12'
_symmetry_space_group_name_H-M 'P 1 21/c 1'
_symmetry_Int_Tables_number 14
_cell_length_a 3.779
_cell_length_b 12.028
_cell_length_c 5.469
_cell_angle_alpha 90.00
_cell_angle_beta 108.06
_cell_angle_gamma 90.00
loop_
_symmetry_equiv_pos_as_xyz
'x,y,z'
'-x,-y,-z'
'-x,y+1/2,-z+1/2'
'x,-y+1/2,z+1/2'
loop_
_atom_site_label
_atom_site_type_symbol
_atom_site_fract_x
_atom_site_fract_y
_atom_site_fract_z
V1 V 0.111 0.159 0.172
V2 V 0.342 0.050 0.712
O1 O 0.174 0.506 0.820
O2 O 0.181 0.194 0.542
O3 O 0.429 0.608 0.411
```

The 10 most intense peaks (2θ = 5–70°), low angle first:
hkl 0 2 0, 14.7°, rel. 46; hkl 1 1 0, 25.9°, rel. 74; hkl 1 2 0, 28.9°, rel. 34; hkl 1 2 -1, 29.5°, rel. 42; hkl 0 4 1, 34.5°, rel. 100; hkl 0 1 2, 35.3°, rel. 48; hkl 0 2 2, 37.7°, rel. 30; hkl 0 3 2, 41.4°, rel. 22; hkl 0 6 1, 48.7°, rel. 24; hkl 2 1 -1, 48.8°, rel. 48

=====

# 2
# V2O5
Theoretical XRD peak list, Cu Kα X-rays. Input: a crystal structure in Alexandria, relaxed with GGA+U.
Intensities are scaled so that the largest is 100.

Structural model:
```
data_V2O5
_chemical_formula_sum 'V4 O10'
_symmetry_space_group_name_H-M 'P -1'
_symmetry_Int_Tables_number 2
_cell_length_a 4.671
_cell_length_b 6.631
_cell_length_c 6.732
_cell_angle_alpha 75.60
_cell_angle_beta 89.53
_cell_angle_gamma 89.34
loop_
_symmetry_equiv_pos_as_xyz
'x,y,z'
'-x,-y,-z'
loop_
_atom_site_label
_atom_site_type_symbol
_atom_site_fract_x
_atom_site_fract_y
_atom_site_fract_z
V1 V 0.106 0.184 0.316
V2 V 0.110 0.283 0.789
O1 O 0.004 0.193 0.050
O2 O 0.008 0.116 0.615
O3 O 0.014 0.455 0.300
O4 O 0.450 0.181 0.314
O5 O 0.456 0.289 0.785
```

The 10 most intense peaks (2θ = 5–70°), low angle first:
hkl 1 0 0, 19.0°, rel. 100; hkl 1 1 0, 23.4°, rel. 25; hkl 1 -1 0, 23.7°, rel. 37; hkl 0 0 2, 27.4°, rel. 66; hkl 0 2 0, 27.8°, rel. 63; hkl 1 1 2, 33.4°, rel. 18; hkl 1 0 -2, 33.6°, rel. 15; hkl 0 2 2, 34.0°, rel. 15; hkl 2 0 0, 38.6°, rel. 15; hkl 0 1 4, 54.5°, rel. 12

=====

# 3
# V3O7
Theoretical XRD peak list, Cu Kα X-rays. Input: a crystal structure in Alexandria, relaxed with GGA+U.
Intensities are scaled so that the largest is 100.

Structural model:
```
data_V3O7
_chemical_formula_sum 'V12 O28'
_symmetry_space_group_name_H-M 'P n m a'
_symmetry_Int_Tables_number 62
_cell_length_a 9.440
_cell_length_b 10.825
_cell_length_c 5.416
_cell_angle_alpha 90.00
_cell_angle_beta 90.00
_cell_angle_gamma 90.00
loop_
_symmetry_equiv_pos_as_xyz
'x,y,z'
'-x,-y,-z'
'-x+1/2,-y,z+1/2'
'x+1/2,y,-z+1/2'
'x+1/2,-y+1/2,-z+1/2'
'-x+1/2,y+1/2,z+1/2'
'-x,y+1/2,-z'
'x,-y+1/2,z'
loop_
_atom_site_label
_atom_site_type_symbol
_atom_site_fract_x
_atom_site_fract_y
_atom_site_fract_z
V1 V 0.194 0.022 0.250
V2 V 0.194 0.250 0.749
O1 O 0.023 0.250 0.750
O2 O 0.025 0.036 0.250
O3 O 0.245 0.614 0.019
*/

The “Fe y Alagría” School is located in the neighborhood of San Rafael, Centurión sector.

At present, the communities around the School are being formed from large families whom are in a daily and continuously race for survival. Houses and educational institutions were built, and basic medical assistance was incremented around the area. The supply service is very precarious in the area, there are constant failures in the water service, which generates many water cuts and sometimes with electricity lost. This generates problems with hygiene, health, communication, public transport, etc.

/*
Starting from the GGA-PBE geometry in Alexandria, the powder diffractogram of NdNi5Sn was calculated for Cu Ka.
Kinematic intensities with the Lorentz-polarization factor, no thermal factor.

Largest 8 diffraction maxima, in order of rising 2θ, 10 to 90 degrees two-theta:
h k l  Position (°2θ)  d (Å)  I/Imax
1 0 6  34.4  2.607  58.7
1 1 0  36.5  2.465  100.0
1 0 7  38.2  2.355  37.1
1 1 4  40.9  2.205  56.8
2 0 1  42.6  2.121  44.1
1 1 6  46.0  1.973  52.6
2 1 6  64.3  1.449  27.4
2 2 0  77.5  1.232  30.6

Structure:
a = 4.9277 Å, b = 4.9277 Å, c = 19.7622 Å
α = 90.00°, β = 90.00°, γ = 120.00°
Sites, in units of the cell vectors:
Nd 0.0000 0.0000 0.0000
Nd 0.0000 0.0000 0.5000
Nd 0.3333 0.6667 0.2500
Nd 0.6667 0.3333 0.7500
Ni 0.0000 0.0000 0.2500
Ni 0.0000 0.0000 0.7500
Ni 0.1661 0.3321 0.6463
Ni 0.1661 0.3321 0.8537
Ni 0.1661 0.8339 0.6463
Ni 0.1661 0.8339 0.8537
Ni 0.3321 0.1661 0.1463
Ni 0.3321 0.1661 0.3537
Ni 0.3333 0.6667 0.5436
Ni 0.3333 0.6667 0.7500
Ni 0.3333 0.6667 0.9564
Ni 0.6667 0.3333 0.0436
Ni 0.6667 0.3333 0.2500
Ni 0.6667 0.3333 0.4564
Ni 0.6679 0.8339 0.6463
Ni 0.6679 0.8339 0.8537
Ni 0.8339 0.1661 0.1463
Ni 0.8339 0.1661 0.3537
Ni 0.8339 0.6679 0.1463
Ni 0.8339 0.6679 0.3537
Sn 0.3333 0.6667 0.0874
Sn 0.3333 0.6667 0.4126
Sn 0.6667 0.3333 0.5874
Sn 0.6667 0.3333 0.9126
*/
**End of the crystal structures**

On top of the mentioned above, there is a constant threat of a big pool of balckwater in front of the school.

The school is being guided by the “Sisters of Consolation”, and inspired by the educational principles of Fe y Algeria and the charisma of Consolation.

The internal organization responds to a vision with three well-defined dimensions: a humanizing, integrating and liberating education. These dimensions are present in any action that takes place in different school environments.

For “Fe y Alegría”, to educate you must shape your heart, mind, the hands of the people, believes in quality education, hence education which foment man and woman’s whom are aware of their potentials and the reality that surrounds them.

The School takes care of 440 students during morning and afternoon shifts, in 7 classrooms, in ages between 5 and 12 years old.

Fe y Alegría is an International Movement of Popular Education and Social Promotion, which aimed to help the poor population to transform the societies to base on the values of justice, freedom, participation, fraternity, respect for diversity and solidarity.

The main objective is to build a quality education for the neediest sectors of Caicara del Orinoco in Venezuela.

As the founder of Fe y Alegría expresses: “The education of the poor cannot be poor education”. It is a duty to give the children of the school a quality education based on values, that prepares them to serve the Venezuelan society.

Project actions

**Misplaced records of crystals**
=====
No. 1
K2BaCdCl6: computed X-ray diffraction stick pattern (Cu Ka), based on a structure optimized by DFT (PBE).

Structure:
Unit cell a=7.740 b=7.740 c=6.217 alpha=90.00 beta=90.00 gamma=90.00
Fractional positions:
K  0.000  0.500  0.000
K  0.500  0.000  0.000
Ba  0.000  0.000  0.613
Cd  0.500  0.500  0.609
Cl  0.000  0.000  0.130
Cl  0.269  0.269  0.726
Cl  0.269  0.731  0.726
Cl  0.500  0.500  0.210
Cl  0.731  0.269  0.726
Cl  0.731  0.731  0.726

Peak list (10 most intense, 2θ from 10° to 80°, most intense first)
two_theta  intensity
21.6  100
16.2  86
32.7  77
14.2  69
33.1  48
23.0  44
37.1  43
39.6  40
46.9  34
47.3  33

No. 2
RbB3Te2O9: computed X-ray diffraction stick pattern (Cu Ka), based on a structure optimized by DFT (PBE).

Structure:
Unit cell a=6.411 b=5.568 c=14.254 alpha=90.00 beta=111.73 gamma=90.00
Fractional positions:
Rb  0.000  0.127  0.250
Rb  0.000  0.873  0.750
B  0.177  0.342  0.931
B  0.177  0.658  0.431
B  0.500  0.393  0.750
B  0.500  0.607  0.250
B  0.823  0.342  0.569
B  0.823  0.658  0.069
Te  0.320  0.213  0.570
Te  0.320  0.787  0.070
Te  0.680  0.213  0.930
Te  0.680  0.787  0.430
O  0.021  0.217  0.599
O  0.021  0.783  0.099
O  0.181  0.409  0.448
O  0.181  0.591  0.948
O  0.363  0.212  0.936
O  0.363  0.788  0.436
O  0.410  0.492  0.157
O  0.410  0.508  0.657
O  0.500  0.146  0.750
O  0.500  0.854  0.250
O  0.590  0.492  0.343
O  0.590  0.508  0.843
O  0.637  0.212  0.564
O  0.637  0.788  0.064
O  0.819  0.409  0.052
O  0.819  0.591  0.552
O  0.979  0.217  0.901
O  0.979  0.783  0.401

Peak list (10 most intense, 2θ from 10° to 80°, most intense first)
two_theta  intensity
21.2  100
25.8  86
27.9  49
23.5  27
45.6  25
13.4  19
17.3  18
25.5  16
49.1  16
40.9  16

No. 3
Nd5GaGe2: computed X-ray diffraction stick pattern (Cu Ka), based on a structure optimized by DFT (PBE).

Structure:
Unit cell a=9.054 b=9.054 c=9.054 alpha=128.10 beta=128.10 gamma=76.46
Fractional positions:
Nd  0.000  0.000  0.000
Nd  0.030  0.530  0.849
Nd  0.180  0.030  0.500
Nd  0.320  0.820  0.849
Nd  0.470  0.320  0.500
Nd  0.500  0.500  0.000
Nd  0.530  0.680  0.500
Nd  0.680  0.180  0.151
Nd  0.820  0.970  0.500
Nd  0.970  0.470  0.151
Ga  0.250  0.250  0.000
Ga  0.750  0.750  0.000
Ge  0.124  0.376  0.500
Ge  0.376  0.876  0.252
Ge  0.624  0.124  0.748
Ge  0.876  0.624  0.500

Peak list (10 most intense, 2θ from 10° to 80°, most intense first)
two_theta  intensity
31.5  100
33.9  46
35.8  45
51.3  27
31.9  17
55.6  17
25.9  15
29.8  15
38.0  12
47.8  12

No. 4
Pr6IrRu2I3: computed X-ray diffraction stick pattern (Cu Ka), based on a structure optimized by DFT (PBE).

Structure:
Unit cell a=7.275 b=7.275 c=8.569 alpha=98.14 beta=98.14 gamma=120.00
Fractional positions:
Pr  0.101  0.438  0.814
Pr  0.225  0.225  0.186
Pr  0.438  0.101  0.814
Pr  0.562  0.899  0.186
Pr  0.775  0.775  0.814
Pr  0.899  0.562  0.186
Ir  0.500  0.500  0.000
Ru  0.167  0.833  0.000
Ru  0.833  0.167  0.000
I  0.000  0.000  0.500
I  0.333  0.667  0.500
=====

2017Allocation for school desks.
2018Collaboration with the equipment and maintenance of the school.
2019Repair of the school building.
2020Renovation of different rooms and units.
2021Construction of two new classrooms.
2022Repair and maintenance of five classrooms.
2023Construction of new bathrooms for the II basic stage and waterproofing of the classrooms.


del Orinoco, State of Bolivar (Venezuela)